Spells with salt that will chase away any negativity in your life

If you are a fan of mysticism, you should already know that coarse salt is a powerful element. Through it we manage to expand our energetic aura and activate our protection field.

It is worth mentioning that the coarse salt It has an intense connection with nature. This mineral has existed since the most basic formation of the planet and for hundreds of years it was used not only as a condiment and preservative, but also as a mystical element, capable of transmuting energies.

And you must be wondering how rock salt has such a powerful character. The truth is that this material can serve to protect our home, our work and ourselves. Since the dawn of humanity, in Babylon, China and Egypt, coarse salt has played an important role, whether in the culture survival either spirituality.

If you want to know how to make the most of properties of coarse salt, take a look at the rituals we have prepared today. Each of them uses the salt as a main element, recognizing its energetic properties and applying them to different areas of life.

9 spells with rock salt to ward off negativity

Spell to eliminate envy from your home

In this sympathy you will need to create a protection field at the door of your house. The best way to do this is to use a clean and dry glass jar . You will fill it to the brim with the coarse salt of your choice. It is also worth putting a few cloves of garlic on top.

This element is also powerful in warding off evil spirits.

When your amulet is ready, place it behind the door or somewhere nearby. Then say a prayer to your guardian angel and complete with an Our Father. Listen to your voice intuition every time you need to redo the spell.

Ritual with coarse salt to attract health.

If you have health problems, You can count on the benefits of rock salt. For this sympathy you will need an amount reasonable of coarse salt, drinking water and a candle, preferably blue. When doing this, you must take a clean container and mix the salt and water.

When you finish the solution, light the blue candle on the left side of the bowl. Offer sympathy to your guardian angel and in prayer ask for deliverance, health and expansion of awareness. You must throw the water and salt solution from the neck down, mentalizing everything that is good.

Ritual with rock salt to attract money.

If you are facing economic problems, You can count on the astral help of coarse salt. This element also has the power to bless your life financial and ensure profitability. But the most important thing for this ritual to work is to have solidarity as a solid principle in your life. It is through your intuition that They will dictate the rules of the game.

For the ritual, you must help someone who is facing serious difficulties during the week. After the good deed, bury some rock salt and a pyrite crystal known to attract prosperity, in a Fortune flower vase.

Spell to eliminate the evil eye in your relationship

Coarse salt can also be a great ally when it comes to protecting your love relationship. For this sympathy you will need a handful of coarse salt, sandalwood incense, a few sprigs of rue and a red rose In a quiet place, draw a chalk circle on the floor and place all the items inside.

After the incense has completely burned, make sure it has actually gone out and wrap what is left of the ritual in a white fabric. By discarding, mentalize the entire energy cleansing that you want to attract to the relationship.

An extra tip for anyone who wants to defend the relationship is to take actions aimed at Saint Anthony. Herbal baths can also be a good option.

____________
Entry 1:
A 7-piece molecular cluster, C27H53N10O7 overall. Source: the OMol25 dataset; level of theory: wB97M-V/def2-TZVPD.

LUMO level   -2.4 eV
Energy   -58087.0849 eV
Net charge   +1
Frontier orbital gap   0.284 Ha

Cartesian coordinates (Å):
N: -4.577310 -1.074332 -2.749882
N: 3.422984 -2.088767 7.884331
N: -6.851230 5.056022 -6.773978
H: 1.964420 1.490147 -1.701612
O: -7.275119 3.748751 -5.009024
H: 0.377545 -2.664150 -1.852423
H: -4.912337 -1.180946 -3.702518
C: 3.131488 -6.584932 -2.164389
O: 4.670796 -2.906883 1.335711
C: -6.181667 5.475000 -7.991235
H: -2.746488 -0.174355 -3.183380
H: -6.834515 4.504071 -2.487482
H: -6.922892 5.543066 -8.789027
O: 3.412438 2.950389 2.350457
H: -6.193687 2.383052 -3.209389
H: 4.247135 -8.816955 -1.134595
C: 3.374622 -0.146171 -1.143035
C: -5.515592 3.021686 -6.463512
H: -5.747264 6.462299 -7.826276
H: 4.038458 -0.267084 2.831849
H: 3.256457 -3.381275 9.497993
H: 0.791183 5.996754 1.133713
N: 2.052965 4.718673 2.170808
H: 2.785770 -6.352534 -0.220000
O: -3.328281 2.814441 -2.156094
C: -5.647269 2.289129 -2.267442
H: 3.249433 -8.445141 -3.223715
C: 2.475223 -2.471611 -1.227561
C: 3.540096 -1.209168 2.595232
H: -6.018267 5.783191 -3.408787
H: -5.742716 2.618289 -7.451614
N: -3.379788 -0.516703 -2.462411
H: -6.107931 -1.878669 -1.516610
C: 3.737998 -7.469186 -3.222426
H: -5.399001 4.781850 -8.285260
H: -5.280231 1.267747 -2.178876
C: 2.100880 0.390266 -1.571343
N: -4.727045 4.552416 -2.355457
H: 5.189799 -2.800459 5.498897
H: 4.604414 -7.918991 0.356292
C: 2.848971 -0.931164 7.463247
H: -1.344269 1.590188 -1.689454
H: 2.972560 -1.077655 1.675596
H: 6.373090 -1.595480 4.942943
H: 3.056235 -8.773298 0.183307
C: 5.380956 -2.015109 4.764471
C: 4.557958 -2.302836 2.397425
H: 2.088479 0.979947 8.011494
C: -0.955437 0.646783 -1.184348
H: 4.809163 -7.584556 -3.048450
H: 3.598645 -2.743265 7.137254
C: -6.012710 5.212676 -2.479603
H: 2.620063 -3.571734 -1.111053
H: 3.560444 -1.691560 9.954832
C: 1.074391 2.464463 2.244225
O: 2.579555 -5.527665 -2.439527
C: 0.787270 5.415833 2.058215
H: 6.021417 -3.350512 3.241735
C: 2.273446 3.378906 2.260496
O: 2.597675 -0.766916 6.276528
C: 2.541578 0.119097 8.498589
C: -3.175541 -0.513715 -1.101590
H: 4.866759 -2.671486 9.255025
O: -0.354196 -0.133700 -2.204685
N: -2.087396 -0.015932 -0.502438
C: 3.794347 -2.469031 9.233647
C: -6.610919 3.956550 -6.018302
H: -0.250766 1.002290 -0.396199
H: 3.459977 0.443516 8.990860
C: 1.197505 -1.940371 -1.652914
H: 0.689648 6.098339 2.904579
H: 1.837669 -0.272303 9.235108
N: -4.272791 -1.116376 -0.454980
H: -2.044815 -0.116254 0.513079
C: -4.479705 3.228558 -2.254720
C: 3.590141 -1.570198 -0.943540
H: -7.597196 5.633573 -6.414827
H: 1.402352 1.429026 2.320716
N: 5.364982 -2.611328 3.444064
H: 4.201878 0.564652 -0.938475
N: 3.212429 -6.994444 -0.871279
H: -4.557606 3.544297 -6.481356
H: 4.565553 -1.965386 -0.587749
H: 2.900914 5.265466 2.188012
H: 0.532455 2.579335 1.302507
C: -5.100316 -1.410604 -1.528743
H: -0.055750 4.730802 2.049416
____________
**The entry goes on**

Ritual with rock salt to attract success in your professional life

In this case, you will prepare a energy bath with warm water, white rose petals, a few drops of essential oil of lavender and a reasonable amount of coarse salt After your bath as usual, gather all the ingredients in a container and when you're done, throw it away from the neck down.

While you shower, imagine the career What do you want to build? Ask the universe for clarity, tenacity and success. After the ritual bath, let the water evaporate from your body naturally. Then dress in clean clothes, preferably white. Ideally, the ritual should be done during the crescent moon

Ritual with rock salt to attract good luck

What comes next are calculated molecules, not part of the page.
1.
Below is 16 unconnected molecules or ions with the total composition C61H84F8NO39 at a distorted geometry, with properties calculated with the ωB97M-V functional and the def2-TZVPD basis.

Structure (XYZ):
```
193
C61H84F8NO39 (the ωB97M-V functional and the def2-TZVPD basis)
C -20.2578 20.5332 1.8826
C -20.5460 19.6591 0.6879
C -20.5403 20.5576 -0.5389
C -20.4501 19.8597 -1.8358
C -19.2133 18.9779 -1.8055
C -19.2018 18.0026 -0.6000
N -19.2627 18.7935 0.6415
O -19.3083 17.9140 1.6967
C -17.8398 17.4549 -0.5727
C -20.1698 16.8291 -0.8885
C -21.8555 18.9262 1.0383
H -19.9412 19.8781 2.7035
H -21.0352 21.1299 2.3669
H -19.4697 21.2457 1.5990
H -19.6805 21.2138 -0.3448
H -21.4127 21.1870 -0.4991
H -20.4848 20.5464 -2.6843
H -21.3278 19.2438 -1.9901
H -18.3639 19.5730 -1.4996
H -19.0100 18.4926 -2.8044
H -17.0689 18.2453 -0.6966
H -17.7023 16.7061 -1.3535
H -17.6998 16.9644 0.3560
H -21.1492 17.2933 -1.0933
H -20.2745 16.0860 -0.0767
H -19.8916 16.3293 -1.7994
H -21.6126 18.1605 1.7790
H -22.2650 18.4030 0.1923
H -22.5612 19.6541 1.4575
O -13.6094 20.2384 -4.3498
C -14.3826 19.3165 -4.3311
O -14.5088 18.3884 -5.2947
C -15.4984 17.4611 -5.0523
C -16.3380 17.9908 -3.8805
C -15.2843 18.9431 -3.2116
H -15.0381 16.4948 -4.8619
H -16.0691 17.3992 -5.9631
H -16.7104 17.2255 -3.2513
H -17.1889 18.5961 -4.2223
H -14.6231 18.4613 -2.4359
H -15.7424 19.7853 -2.6684
O -18.8573 16.2059 -6.7386
C -19.4306 17.2968 -6.5323
O -19.3209 18.3882 -7.3579
C -20.0597 19.4919 -6.6790
C -20.9625 18.7732 -5.6779
C -20.1882 17.5222 -5.3068
H -20.6157 20.0037 -7.4612
H -19.3177 20.1722 -6.2229
H -21.8905 18.4958 -6.1188
H -21.1395 19.3076 -4.7647
H -20.8541 16.7253 -4.9728
H -19.4056 17.7790 -4.5732
O -24.0018 16.7037 -4.4005
C -24.6664 17.4474 -3.7270
O -25.9229 17.1602 -3.4013
C -26.5334 18.1393 -2.5918
C -25.3874 19.0969 -2.1150
C -24.2537 18.7244 -3.0625
H -26.9912 17.5871 -1.7777
H -27.2787 18.6311 -3.1819
H -25.0307 18.9231 -1.0972
H -25.6798 20.1544 -2.2548
H -23.3203 18.5974 -2.5551
H -24.1072 19.4647 -3.8301
O -26.2153 17.8201 0.5579
C -25.4722 17.0231 1.1176
O -24.3754 16.5909 0.5383
C -23.6115 15.6799 1.4007
C -24.3338 15.6400 2.7197
C -25.6139 16.5026 2.5045
H -22.6532 16.1772 1.4339
H -23.4927 14.7873 0.8073
H -23.7089 16.1920 3.4594
H -24.5398 14.5800 3.1088
H -25.6274 17.3768 3.1722
H -26.5541 15.9620 2.6773
O -19.1167 26.0348 3.8620
C -18.6524 25.0889 4.3937
O -17.6291 25.1180 5.2944
C -17.2579 23.7949 5.7892
C -18.6386 23.0361 5.6333
C -19.2714 23.6808 4.3937
H -16.9654 23.9046 6.8430
H -16.5103 23.3289 5.1318
H -19.1845 23.3114 6.5563
H -18.6432 21.9410 5.4896
H -20.3548 23.7136 4.4546
H -18.8789 23.1365 3.5212
O -21.7390 13.1578 0.1477
C -22.1862 13.4270 -0.9474
O -23.5131 13.6356 -1.1556
C -23.7427 14.4335 -2.3621
C -22.5485 13.9982 -3.2341
C -21.4631 13.6187 -2.2575
H -23.5665 15.4315 -2.0841
H -24.7125 14.1289 -2.7458
H -22.2300 14.7756 -3.8939
H -22.8094 13.1297 -3.8231
H -20.8367 14.5218 -2.2221
H -20.9004 12.7181 -2.5129
O -14.5796 16.6521 4.9986

This ritual helps you direct luck to different areas of life. For it you will need 7 red peppers, a reasonable handful of coarse salt and a small clay container.

Arm your amulet and then not one white candle on the left side of the container. While burns, say a prayer to the Saint to whom you are devoted. Ask for protection and good luck in your personal and professional life.

Sympathy with rock salt to attract prosperity

This is the easiest ritual you will find today. Despite his simplicity it is quite powerful. To do it you will need a handful of coarse salt and a ritual vase of 7 herbs . Place the vase at the entrance of your home or business. Then, place the handful of salt on the Earth and review the basics of each herb present in the vase.

Ritual with coarse salt to attract harmony

According to Indian culture, you can bring harmony to your home by placing an elephant statue inside. The most important thing is that it always has its back to the street.

You must be wondering where rock salt comes into this ritual. It's simple. The ritual property of the statue can be affected with excess energy charges. To remove the negativity, Simply bathe the object in a solution of water and rock salt.

Ritual to eliminate the evil eye

This is another simple ritual but it has an extraordinary power. The idea is to create a protective patuá with coarse salt. The ideal is to sew a small cloth bag by hand.

Inside, it deposits a reasonable amount of Artemisia and a handful of rock salt. Sew the opening of the bag and carry it in your purse, purse or pocket.

[Unrelated to this piece: calculated molecules]
/*
Entry 1:
{
  "formula": "C3H11N2",
  "method": "wB97M-V/def2-TZVPD",
  "elements": ["C", "C", "H", "H", "H", "H", "H", "H", "N", "C", "N", "H", "H", "H", "H", "H"],
  "positions_angstrom": [[1.216612, 0.205524, -1.319541], [1.001350, 1.686370, -1.632606], [1.291816, 0.079457, -0.239017], [2.065845, -0.213428, -1.845508], [0.423449, -0.462167, -1.682355], [1.914124, 2.233770, -1.835157], [0.316024, 1.817846, -2.468774], [0.424669, 2.148509, -0.831843], [-1.127169, -1.533783, 0.489869], [-1.116585, -0.515274, 1.295542], [-1.160664, -0.584926, 2.627588], [-1.494371, -2.429140, 0.788300], [-0.834181, -1.401456, -0.471934], [-0.836180, 0.450610, 0.882333], [-1.689842, -1.305900, 3.097948], [-0.394902, -0.176013, 3.145151]],
  "forces_ev_per_a": [[-0.19, -0.10, -0.18], [-1.18, -0.28, -0.21], [0.48, -0.31, -0.05], [0.48, 0.08, 0.31], [-0.36, 0.39, 0.01], [0.07, 0.02, 0.19], [0.33, -0.07, -0.41], [0.38, 0.27, 0.29], [-1.14, 0.19, -0.04], [1.97, 0.06, 0.63], [-0.94, -0.33, -0.34], [0.37, -0.16, -0.09], [-0.46, 0.02, -0.06], [0.27, -0.18, -0.12], [0.39, -0.30, -0.02], [-0.47, 0.70, 0.09]],
  "mulliken_charge": [-0.63, -0.82, 0.26, 0.35, 0.02, 0.30, 0.29, 0.23, -0.20, 0.17, -0.36, 0.26, 0.22, 0.40, 0.25, 0.26],
  "charge": 1,
  "homo_ev": -15.318,
  "energy_ev": -6262.5599
}

=====

Entry 2:
{
  "formula": "C33H37N7O3Ti",
  "method": "wB97M-V/def2-TZVPD",
  "elements": ["Ti", "C", "C", "C", "C", "C", "C", "C", "C", "N", "C", "O", "C", "C", "C", "C", "C", "N", "C", "O", "N", "C", "C", "C", "C", "C", "C", "C", "C", "H", "H", "H", "H", "H", "H", "H", "H", "H", "H", "H", "H", "H", "H", "H", "H", "H", "H", "H", "H", "H", "N", "C", "C", "N", "C", "C", "N", "C", "C", "N", "H", "H", "H", "H", "H", "H", "C", "C", "O", "C", "C", "H", "H", "H", "H", "H", "H", "H", "H", "H", "H"],
*/

Even if you are not yet a mystical practicing these rituals are worth knowing. The salt coarse is an element that is always present in homes and in everyday life. It costs nothing to use his own benefit.